Important Information For Parents
Save the Date:
Friday 22nd June
Save the Date: Friday 22nd June
Our Parents & Friends Association are busy organising our major fundraiser for 2018. We will be hosting a comedy evening including hypnotist Bizarre Gazzard and comedian Adam Chicken Palmer. The night will be great fun and everyone is invited. We hope you can lock in the date and bring along your friends and family to support our school.
The article is interrupted by calculated crystals =
........
[1]
Diffraction record for RbYMg14. The powder diffractogram is calculated, not measured: it uses the GGA-PBE geometry in the Materials Project and CuKα.
Intensities are scaled so that the largest is 100.

Top 8 peaks for 2θ from 10° to 90°, by intensity:
| 2θ (°) | I_rel |
| --- | --- |
| 35.3 | 100 |
| 35.4 | 48 |
| 33.7 | 36 |
| 61.3 | 28 |
| 30.9 | 27 |
| 46.4 | 26 |
| 17.5 | 20 |
| 66.2 | 19 |

Structure:
```
RbYMg14
1.0
10.6510 0.0000 0.0000
0.0000 3.3428 5.7580
0.0000 -3.3428 5.7580
Rb Y Mg
1 1 14
Direct
0.0000 0.0000 0.0000
0.0000 0.4946 0.4946
0.0000 0.5037 0.9980
0.0000 0.9980 0.5037
0.2508 0.6662 0.6662
0.2616 0.1730 0.1730
0.2650 0.1718 0.6539
0.2650 0.6539 0.1718
0.5000 0.4991 0.9980
0.5000 0.5008 0.5008
0.5000 0.9980 0.4991
0.5000 0.9995 0.9995
0.7350 0.1718 0.6539
0.7350 0.6539 0.1718
0.7384 0.1730 0.1730
0.7492 0.6662 0.6662
```

[2]
Diffraction record for Cs3Sb2Cl9. The powder diffractogram is calculated, not measured: it uses the GGA-PBE geometry in the Materials Project and CuKα.
Intensities are scaled so that the largest is 100.

Top 8 peaks for 2θ from 10° to 90°, by intensity:
| 2θ (°) | I_rel |
| --- | --- |
| 22.8 | 100 |
| 32.4 | 66 |
| 40.0 | 50 |
| 46.5 | 45 |
| 28.0 | 34 |
| 63.0 | 26 |
| 52.4 | 24 |
| 77.2 | 16 |

Structure:
```
Cs3Sb2Cl9
1.0
7.8093 0.0000 0.0000
-3.9046 6.7630 0.0000
0.0000 0.0000 9.5738
Cs Sb Cl
3 2 9
Direct
0.0000 0.0000 0.0000
0.3333 0.6667 0.3257
0.6667 0.3333 0.6743
0.3333 0.6667 0.8201
0.6667 0.3333 0.1799
0.0000 0.4699 0.0000
0.1526 0.7967 0.6747
0.2033 0.3560 0.6747
0.3560 0.2033 0.3253
0.4699 0.0000 0.0000
0.5301 0.5301 0.0000
0.6440 0.8474 0.6747
0.7967 0.1526 0.3253
0.8474 0.6440 0.3253
```

[3]
Diffraction record for MgTe4Mo2W2Se2S2. The powder diffractogram is calculated, not measured: it uses the GGA-PBE geometry in the Materials Project and CuKα.
Intensities are scaled so that the largest is 100.

Top 8 peaks for 2θ from 10° to 90°, by intensity:
| 2θ (°) | I_rel |
| --- | --- |
| 40.0 | 100 |
| 34.3 | 77 |
| 30.3 | 44 |
| 37.5 | 38 |
| 53.9 | 36 |
| 11.6 | 31 |
| 31.9 | 27 |
| 36.3 | 24 |

Structure:
```
MgTe4Mo2W2Se2S2
1.0
3.4018 0.0000 0.0000
-1.7009 2.9460 0.0000
0.0000 0.0000 45.5791
Mg Te Mo W Se S
1 4 2 2 2 2
Direct
0.0000 0.0000 0.0000
0.3333 0.6667 0.4162
0.3333 0.6667 0.4988
0.6667 0.3333 0.8458
0.6667 0.3333 0.9286
0.3333 0.6667 0.2696
0.6667 0.3333 0.0888
0.3333 0.6667 0.8871
0.6667 0.3333 0.4575
0.6667 0.3333 0.2334
0.6667 0.3333 0.3057
0.3333 0.6667 0.0555
0.3333 0.6667 0.1215
```

[4]
Diffraction record for NbMoS3. The powder diffractogram is calculated, not measured: it uses the GGA-PBE geometry in the Materials Project and CuKα.
Intensities are scaled so that the largest is 100.

Top 8 peaks for 2θ from 10° to 90°, by intensity:
| 2θ (°) | I_rel |
| --- | --- |
| 15.7 | 100 |
| 41.9 | 70 |
| 39.7 | 44 |
| 31.0 | 34 |
| 40.4 | 33 |
| 51.9 | 33 |
| 34.5 | 30 |
| 20.8 | 28 |

Structure:
```
NbMoS3
1.0
6.2691 0.0000 0.0000
0.0000 3.2821 0.0000
-2.1565 0.0000 8.5318
........
Asthma Plans
A current Asthma Plan is required for any students who suffers from Asthma. please collect a form form the office and complete and return ASAP.
Hot Cross Buns
Orders are due back March 15th
Dont miss out!
Easter Raffle
Once again it is time for our monster Easter Raffle to take place. Donations of eggs and other Easter goods would be really appreciated. Raffle will be drawn at our final assembly on Thursday 29th March. Raffle tickets will be sent home shortly.
Crazy Hair Day
Each year for the past four years we have held a "Crazy Hair Day' and ask students to bring a gold coin donation towards the Royal Children's Hospital Good Friday Appeal. This year Crazy Hair Day will be on Thursday 29th March. Time to start thinking about your crazy hair do and get organised!
Updated Personal Contact Information
All parents are asked to update their contact details with the school office if they have changed. There is nothing worse than trying to contact a parent or an emergency contact only to find that the phone umber listed at school is out of date. Please ensure you inform the school if you change address, emergency contacts or phone numbers
Lost Property
There are a number of items in lost property already this term. Please come and check for your children's clothing.
The Sherar family is missing a size 12 navy blue school polo shirt which is clearly named. Please check you have the correct uniform items and if you find the missing top reutnr to schol urgently.
Head Lice
There have been a number of reports of head lice this week. It is essential that hair is treated to reduce the lice being shared amongst more students. Please check your children's hair regularly and if you find live lice or eggs please treat immediately. If you have been notified by the school that your child has head lice please treat your child as soon as possible, before returning to school, to assist our community to control head lice at the school.
If you are unsure of how to identify head lice and their eggs or unaware of effective treatments please contact the office for help and information.
Head lice do not transmit infectious diseases – they are transmitted by having head to head contact with someone who has head lice. Head lice are common in school aged children and are the most adaptable of creatures. They have survived living solely on humans for 10,000 years!
If head lice or eggs are found on your child’s hair you need to inform:
- the school and advise when treatment has started, via the Action Taken Form
- parents or carers of your child’s friends so they too have the opportunity to detect and treat their children if necessary
Health regulations requires that where a child has head lice, the child should not return to school until the day after appropriate treatment has started.
**Here the piece breaks off for calculated crystals**
~~~
[1]
Starting from a crystal structure in the Materials Project, relaxed with GGA-PBE, the XRD peak list of NpF4 was computed for Cu Kα, 1.54184 Å.
Peak positions follow from Bragg's law for the DFT cell and can differ from measured ones.

Crystal structure
```
data_NpF4
_chemical_formula_sum 'Np6 F24'
_cell_length_a 8.384
_cell_length_b 8.384
_cell_length_c 8.378
_cell_angle_alpha 117.06
_cell_angle_beta 117.06
_cell_angle_gamma 80.71
_space_group_name_H-M_alt 'P 1'
_space_group_IT_number 1
loop_
_space_group_symop_operation_xyz
'x,y,z'
loop_
_atom_site_label
_atom_site_type_symbol
_atom_site_fract_x
_atom_site_fract_y
_atom_site_fract_z
Np1 Np 0.213 0.787 0.750
Np2 Np 0.223 0.367 0.169
Np3 Np 0.367 0.223 0.669
Np4 Np 0.633 0.777 0.331
Np5 Np 0.777 0.633 0.831
Np6 Np 0.787 0.213 0.250
F1 F 0.000 0.500 0.000
F2 F 0.028 0.726 0.850
F3 F 0.065 0.174 0.456
F4 F 0.174 0.065 0.956
F5 F 0.185 0.598 0.427
F6 F 0.258 0.318 0.895
F7 F 0.260 0.503 0.718
F8 F 0.274 0.972 0.650
F9 F 0.318 0.258 0.395
F10 F 0.396 0.604 0.250
F11 F 0.402 0.815 0.073
F12 F 0.497 0.740 0.782
F13 F 0.500 0.000 0.500
F14 F 0.503 0.260 0.218
F15 F 0.598 0.185 0.927
F16 F 0.604 0.396 0.750
F17 F 0.682 0.742 0.605
F18 F 0.726 0.028 0.350
F19 F 0.740 0.497 0.282
F20 F 0.742 0.682 0.105
F21 F 0.815 0.402 0.573
F22 F 0.826 0.935 0.044
F23 F 0.935 0.826 0.544
F24 F 0.972 0.274 0.150
```

Largest 6 diffraction maxima, by angle, 2θ from 15° to 90°:
two_theta, I/Imax
21.04, 76
21.29, 43
22.54, 63
23.87, 100
24.98, 47
26.86, 52

=====

[2]
Starting from a crystal structure in the Materials Project, relaxed with GGA-PBE, the XRD peak list of CeSb2 was computed for Cu Kα, 1.54184 Å.
Peak positions follow from Bragg's law for the DFT cell and can differ from measured ones.

Crystal structure
```
data_CeSb2
_chemical_formula_sum 'Ce4 Sb8'
_cell_length_a 4.424
_cell_length_b 4.424
_cell_length_c 17.788
_cell_angle_alpha 90.00
_cell_angle_beta 90.00
_cell_angle_gamma 89.10
_space_group_name_H-M_alt 'P 1'
_space_group_IT_number 1
loop_
_space_group_symop_operation_xyz
'x,y,z'
loop_
_atom_site_label
_atom_site_type_symbol
_atom_site_fract_x
_atom_site_fract_y
_atom_site_fract_z
Ce1 Ce 0.137 0.863 0.889
Ce2 Ce 0.363 0.637 0.389
Ce3 Ce 0.637 0.363 0.611
Ce4 Ce 0.863 0.137 0.111
Sb1 Sb 0.128 0.372 0.750
Sb2 Sb 0.138 0.862 0.568
Sb3 Sb 0.362 0.638 0.068
Sb4 Sb 0.372 0.128 0.250
Sb5 Sb 0.628 0.872 0.750
Sb6 Sb 0.638 0.362 0.932
Sb7 Sb 0.862 0.138 0.432
Sb8 Sb 0.872 0.628 0.250
```

Largest 6 diffraction maxima, by angle, 2θ from 15° to 90°:
two_theta, I/Imax
30.11, 91
32.56, 100
34.89, 48
36.49, 24
41.13, 56
55.06, 27

=====

[3]
Starting from a crystal structure in the Materials Project, relaxed with GGA-PBE, the XRD peak list of Y2AlCo3 was computed for Cu Kα, 1.54184 Å.
Peak positions follow from Bragg's law for the DFT cell and can differ from measured ones.

Crystal structure
```
data_Y2AlCo3
_chemical_formula_sum 'Y2 Al1 Co3'
_cell_length_a 4.990
_cell_length_b 4.990
_cell_length_c 4.990
~~~
**The calculated crystals stop here**
Continual ongoing treatments can be expensive, cause inconvenience and take up a lot of time for parents. Many parents do become frustrated when they have treated their child for lice and other parents continue to send their children to school untreated and continue the cycle of sharing lice.
Out of consideration for all families, I ask that you take a few minutes to check your child / ren and treat their hair if you find eggs and/ or live lice. Loch Primary School is aware that head lice can be a sensitive issue and is committed to maintaining your confidentiality.